Entries:
********
The following is a PBE calculation of an optimized crystal structure of K2Os, from OQMD.

The space group is No. 227. Its magnetic moment is 4.0 Bohr magnetons per cell. For the total energy, the calculation gives -2.47 eV per atom. The value obtained for the energy relative to the lowest polymorph listed for this composition is 0.00 eV per formula unit.

Lattice parameters (Å, degrees): 6.194 6.194 6.194 60.00 60.00 60.00
Element x y z (fractional)
1 K 0.000 0.000 0.000
2 K 0.000 0.000 0.500
3 K 0.000 0.500 0.000
4 K 0.500 0.000 0.000
5 Os 0.375 0.375 0.375
6 Os 0.625 0.625 0.625


The following is a PBE calculation of an optimized crystal structure of Rb2Tb4Cu4Se9, from OQMD.

The space group is No. 12. Its magnetic moment is 0.0 Bohr magnetons per cell. For the total energy, the calculation gives -4.80 eV per atom.

Lattice parameters (Å, degrees): 7.534 7.534 16.623 108.21 108.21 31.83
Element x y z (fractional)
1 Rb 0.031 0.031 0.271
2 Rb 0.969 0.969 0.729
3 Tb 0.230 0.230 0.102
4 Tb 0.345 0.345 0.444
5 Tb 0.655 0.655 0.556
6 Tb 0.770 0.770 0.898
7 Cu 0.245 0.245 0.730
8 Cu 0.425 0.425 0.030
9 Cu 0.575 0.575 0.970
10 Cu 0.755 0.755 0.270
11 Se 0.000 0.000 0.500
12 Se 0.137 0.137 0.923
13 Se 0.299 0.299 0.602
14 Se 0.349 0.349 0.276
15 Se 0.394 0.394 0.872
16 Se 0.606 0.606 0.128
17 Se 0.651 0.651 0.724
18 Se 0.701 0.701 0.398
19 Se 0.863 0.863 0.077


The following is a PBE calculation of an optimized crystal structure of Pm2MgO4, from OQMD.

The space group is No. 227. Its magnetic moment is 0.0 Bohr magnetons per cell. For the total energy, the calculation gives -7.38 eV per atom.

Lattice parameters (Å, degrees): 6.748 6.748 6.748 60.00 60.00 60.00
Element x y z (fractional)
1 Pm 0.000 0.000 0.000
2 Pm 0.000 0.000 0.500
3 Pm 0.000 0.500 0.000
4 Pm 0.500 0.000 0.000
5 Mg 0.375 0.375 0.375
6 Mg 0.625 0.625 0.625
7 O 0.242 0.753 0.753
8 O 0.247 0.247 0.247
9 O 0.247 0.247 0.758
10 O 0.247 0.758 0.247
11 O 0.753 0.242 0.753
12 O 0.753 0.753 0.242
13 O 0.753 0.753 0.753
14 O 0.758 0.247 0.247


The following is a PBE calculation of an optimized crystal structure of Na2GaAgH6, from OQMD.

The space group is No. 225. For the total energy, the calculation gives -2.85 eV per atom.

Lattice parameters (Å, degrees): 5.296 5.296 5.296 60.00 60.00 60.00
Element x y z (fractional)
1 Na 0.250 0.250 0.250
2 Na 0.750 0.750 0.750
3 Ga 0.000 0.000 0.000
4 Ag 0.500 0.500 0.500
5 H 0.241 0.241 0.759
6 H 0.241 0.759 0.241
7 H 0.241 0.759 0.759
8 H 0.759 0.241 0.241
9 H 0.759 0.241 0.759
10 H 0.759 0.759 0.241


The following is a PBE calculation of an optimized crystal structure of BaZn, from OQMD.

The space group is No. 59. For the total energy, the calculation gives -1.58 eV per atom.

Lattice parameters (Å, degrees): 4.233 6.472 5.424 90.00 90.00 90.00
Element x y z (fractional)
1 Ba 0.250 0.250 0.168
2 Ba 0.750 0.750 0.832
3 Zn 0.250 0.750 0.350
4 Zn 0.750 0.250 0.650


The following is a PBE calculation of an optimized crystal structure of Tm6InCu2, from OQMD.

The space group is No. 71. Its magnetic moment is 0.0 Bohr magnetons per cell. For the total energy, the calculation gives -4.36 eV per atom.

Lattice parameters (Å, degrees): 8.391 8.391 8.391 112.91 109.78 105.80
Element x y z (fractional)
1 Tm 0.038 0.238 0.800
2 Tm 0.186 0.284 0.470
3 Tm 0.186 0.716 0.902
4 Tm 0.322 0.018 0.696
5 Tm 0.322 0.626 0.304
6 Tm 0.438 0.238 0.200
7 Tm 0.562 0.762 0.800
8 Tm 0.678 0.374 0.696
9 Tm 0.678 0.982 0.304
10 Tm 0.814 0.284 0.098
11 Tm 0.814 0.716 0.530
12 Tm 0.962 0.762 0.200
13 In 0.000 0.000 0.000
14 In 0.500 0.500 0.000
15 Cu 0.120 0.620 0.500
16 Cu 0.348 0.000 0.348
17 Cu 0.652 0.000 0.652
18 Cu 0.880 0.380 0.500


The following is a PBE calculation of an optimized crystal structure of SrTlCo, from OQMD.

The space group is No. 216. Its magnetic moment is 1.0 Bohr magnetons per cell. For the total energy, the calculation gives -2.82 eV per atom.

Lattice parameters (Å, degrees): 5.140 5.140 5.140 60.00 60.00 60.00
********

To do:
Now say how many lines of the notes further up hold the word "Tm", as a bare number.

Reply:
12